Next, count the lines below that contain the word "belongs" and give the number alone.

____________
First-principles (PBE) data for crystalline Re3SiBi at its relaxed geometry, as listed in Alexandria via LeMat-Bulk.

Structure (CIF):
```
data_Re3SiBi
_space_group_name_H-M_alt 'P 1'
_space_group_IT_number 1
_cell_length_a 4.9939
_cell_length_b 4.9939
_cell_length_c 4.9939
_cell_angle_alpha 90.00
_cell_angle_beta 90.00
_cell_angle_gamma 90.00
loop_
_space_group_symop_operation_xyz
'x,y,z'
loop_
_atom_site_label
_atom_site_type_symbol
_atom_site_fract_x
_atom_site_fract_y
_atom_site_fract_z
Re1 Re 0.5000 0.0000 0.0000
Bi1 Bi 0.0000 0.0000 0.0000
Re2 Re 0.0000 0.0000 0.5000
Re3 Re 0.0000 0.5000 0.0000
Si1 Si 0.5000 0.5000 0.5000
```

- crystal system = cubic
- distance to the lowest polymorph of the same formula (meV/atom) = 2054.4
- formation energy without anion corrections (eV/atom) = 3.352
- total energy (eV per atom) = -5.98
- Fermi-level density of states (states/eV/cell) = 4.44

----------

No. 1
This record from the Alexandria database describes a PBEsol-optimized structure of Ge3Bi4O12. The functional is SCAN.

a b c (Å): 9.065 9.065 9.065
angles (deg): 109.47 109.47 109.47
Fractional positions:
Ge (0.125, 0.750, 0.875)
Ge (0.250, 0.625, 0.375)
Ge (0.375, 0.250, 0.625)
Ge (0.625, 0.375, 0.250)
Ge (0.750, 0.875, 0.125)
Ge (0.875, 0.125, 0.750)
Bi (0.000, 0.333, 0.500)
Bi (0.000, 0.833, 0.500)
Bi (0.167, 0.167, 0.167)
Bi (0.333, 0.500, 0.000)
Bi (0.500, 0.000, 0.333)
Bi (0.500, 0.000, 0.833)
Bi (0.667, 0.667, 0.667)
Bi (0.833, 0.500, 0.000)
O (0.051, 0.637, 0.333)
O (0.086, 0.282, 0.949)
O (0.137, 0.551, 0.833)
O (0.167, 0.803, 0.718)
O (0.197, 0.414, 0.363)
O (0.218, 0.303, 0.667)
O (0.282, 0.949, 0.086)
O (0.303, 0.667, 0.218)
O (0.333, 0.051, 0.637)
O (0.363, 0.197, 0.414)
O (0.414, 0.363, 0.197)
O (0.449, 0.782, 0.586)
O (0.551, 0.833, 0.137)
O (0.586, 0.449, 0.782)
O (0.637, 0.333, 0.051)
O (0.667, 0.218, 0.303)
O (0.697, 0.863, 0.914)
O (0.718, 0.167, 0.803)
O (0.782, 0.586, 0.449)
O (0.803, 0.718, 0.167)
O (0.833, 0.137, 0.551)
O (0.863, 0.914, 0.697)
O (0.914, 0.697, 0.863)
O (0.949, 0.086, 0.282)

Values from the calculation:
Uncorrected formation energy in eV/atom: -1.50
Space-group type: I-43d, No. 220
Uncorrected energy in eV per atom: -24.997
Size of the total moment in μB per cell: 0.00

=====

No. 2
This record from the Alexandria database describes a PBEsol-optimized structure of GeBi2O5. The functional is SCAN.

a b c (Å): 11.036 3.933 10.857
angles (deg): 90.00 90.00 90.00
Fractional positions:
Ge (0.210, 0.250, 0.139)
Ge (0.290, 0.750, 0.639)
Ge (0.710, 0.250, 0.361)
Ge (0.790, 0.750, 0.861)
Bi (0.077, 0.250, 0.785)
Bi (0.138, 0.250, 0.446)
Bi (0.362, 0.750, 0.946)
Bi (0.423, 0.750, 0.285)
Bi (0.577, 0.250, 0.715)
Bi (0.638, 0.250, 0.054)
Bi (0.862, 0.750, 0.554)
Bi (0.923, 0.750, 0.215)
O (0.001, 0.250, 0.600)
O (0.060, 0.250, 0.188)
O (0.187, 0.750, 0.767)
O (0.248, 0.250, 0.978)
O (0.248, 0.750, 0.133)
O (0.252, 0.250, 0.633)
O (0.252, 0.750, 0.478)
O (0.313, 0.250, 0.267)
O (0.440, 0.750, 0.688)
O (0.499, 0.750, 0.100)
O (0.501, 0.250, 0.900)
O (0.560, 0.250, 0.312)
O (0.687, 0.750, 0.733)
O (0.748, 0.250, 0.522)
O (0.748, 0.750, 0.367)
O (0.752, 0.250, 0.867)
O (0.752, 0.750, 0.022)
O (0.813, 0.250, 0.233)
O (0.940, 0.750, 0.812)
O (0.999, 0.750, 0.400)

Values from the calculation:
Uncorrected formation energy in eV/atom: -1.39
Space-group type: Pnma, No. 62
Uncorrected energy in eV per atom: -27.316
Size of the total moment in μB per cell: 0.00

=====

The lowest uncorrected formation energy belongs to which entry?
Ge3Bi4O12

=====

Number 1 is which compound?
Ge3Bi4O12
____________

1